Silly Novels By Lady Novelists
A more numerous class of silly novels than the oracular (which are generally inspired by some form of High Church or transcendental Christianity) is what we may call the white neck-cloth species, which represent the tone of thought and feeling in the Evangelical party. This species is a kind of genteel tract on a large scale, intended as a sort of medicinal sweetmeat for Low Church young ladies; an Evangelical substitute for the fashionable novel, as the May Meetings are a substitute for the Opera. Even Quaker children, one would think, can hardly have been denied the indulgence of a doll; but it must be a doll dressed in a drab gown and a coal-scuttle-bonnet-not a worldly doll, in gauze and spangles. And there are no young ladies, we imagine-unless they belong to the Church of the United Brethren, in which people are married without any love-making-who can dispense with love stories. Thus, for Evangelical young ladies there are Evangelical love stories, in which the vicissitudes of the tender passion are sanctified by saving views of Regeneration and the Atonement. These novels differ from the oracular ones, as a Low Churchwoman often differs from a High Churchwoman: they are a little less supercilious and a great deal more ignorant, a little less correct in their syntax and a great deal more vulgar.
Calculated crystals from another source follow =
- - -
PBE-GGA PuTl3S3, relaxed; E_form (uncorrected) = -0.85 eV per atom; magnetization = 0.714 μB/atom; D(E_F) = 1.171 states/eV/atom; raw total energy = -5.68 eV per atom
1.0
8.728 0.000 0.000
0.000 4.106 0.000
-0.346 0.000 11.923
Pu Tl S
2 6 6
Direct
0.120 0.250 0.382
0.880 0.750 0.618
0.138 0.250 0.871
0.342 0.750 0.139
0.377 0.750 0.634
0.623 0.250 0.366
0.658 0.250 0.861
0.862 0.750 0.129
0.091 0.250 0.610
0.102 0.250 0.150
0.333 0.750 0.387
0.667 0.250 0.613
0.898 0.750 0.850
0.909 0.750 0.390

PBE-GGA Tb6SmY2Er3, relaxed; magnetization = 0.000 μB/atom; D(E_F) = 1.324 states/eV/atom; raw total energy = -4.91 eV per atom
1.0
3.080 -5.328 0.000
3.080 5.328 0.000
-2.039 0.000 11.600
Tb Sm Y Er
6 1 2 3
Direct
0.085 0.418 0.753
0.248 0.248 0.247
0.418 0.085 0.753
0.582 0.915 0.247
0.752 0.752 0.753
0.915 0.582 0.247
0.000 0.000 0.500
0.333 0.667 0.500
0.667 0.333 0.500
0.167 0.833 0.000
0.500 0.500 0.000
0.833 0.167 0.000

PBE-GGA Mn2AsCl, relaxed; E_form (uncorrected) = 0.54 eV per atom; magnetization = 0.000 μB/atom; D(E_F) = 2.064 states/eV/atom; ΔE to the lowest computed polymorph = 71.40 kJ/mol of atoms; raw total energy = -5.67 eV per atom
1.0
0.000 2.954 2.954
2.954 0.000 2.954
2.954 2.954 0.000
Mn As Cl
2 1 1
Direct
0.250 0.250 0.250
0.750 0.750 0.750
0.000 0.000 0.000
0.500 0.500 0.500

PBE-GGA Rb6AuI, relaxed; E_form (uncorrected) = -0.41 eV per atom; magnetization = 0.000 μB/atom; D(E_F) = 0.589 states/eV/atom; raw total energy = -1.74 eV per atom
1.0
4.438 -7.668 0.000
4.438 7.668 0.000
-3.008 0.000 8.339
Rb Au I
6 1 1
Direct
0.070 0.400 0.238
0.245 0.245 0.759
0.400 0.070 0.238
0.600 0.930 0.762
0.755 0.755 0.241
0.930 0.600 0.762
0.000 0.000 0.000
0.500 0.500 0.500

PBE-GGA La2P6Pd21, relaxed; magnetization = 0.000 μB/atom; D(E_F) = 0.349 states/eV/atom; raw total energy = -5.86 eV per atom
1.0
0.000 6.140 6.140
6.140 0.000 6.140
6.140 6.140 0.000
La P Pd
2 6 21
Direct
0.250 0.250 0.250
0.750 0.750 0.750
0.240 0.240 0.760
0.240 0.760 0.240
0.240 0.760 0.760
0.760 0.240 0.240
0.760 0.240 0.760
0.760 0.760 0.240
0.113 0.113 0.113
0.113 0.113 0.660
0.113 0.660 0.113
0.156 0.500 0.500
0.156 0.500 0.844
0.156 0.844 0.500
0.340 0.887 0.887
0.500 0.156 0.500
0.500 0.156 0.844
0.500 0.500 0.156
0.500 0.500 0.500
0.500 0.500 0.844
0.500 0.844 0.156
0.500 0.844 0.500
0.660 0.113 0.113
0.844 0.156 0.500
0.844 0.500 0.156
0.844 0.500 0.500
0.887 0.340 0.887
0.887 0.887 0.340
0.887 0.887 0.887

PBE-GGA LaScO2F, relaxed; E_form (uncorrected) = -2.19 eV per atom; magnetization = 0.198 μB/atom; D(E_F) = 0.767 states/eV/atom; raw total energy = -6.80 eV per atom
1.0
4.657 0.000 0.000
0.000 4.657 0.000
0.000 0.000 4.517
La Sc O F
1 1 2 1
Direct
0.000 0.000 0.000
0.500 0.500 0.500
0.000 0.500 0.000
0.500 0.000 0.000
0.000 0.000 0.500

PBE-GGA CoPd8Au6, relaxed; magnetization = 0.278 μB/atom; D(E_F) = 0.688 states/eV/atom; raw total energy = -4.46 eV per atom
1.0
7.639 0.000 0.000
-3.820 6.616 0.000
0.000 0.000 4.982
Co Pd Au
1 8 6
Direct
- - -
The entry goes on =
The Orlando of Evangelical literature is the young curate, looked at from the point of view of the middle class, where cambric bands are understood to have as thrilling an effect on the hearts of young ladies as epaulettes have in the classes above and below it. In the ordinary type of these novels the hero is almost sure to be a young curate, frowned upon, perhaps by worldly mammas, but carrying captive the hearts of their daughters, who can “never forget that sermon;” tender glances are seized from the pulpit stairs instead of the opera-box; tête-à-têtes are seasoned with quotations from Scripture instead of quotations from the poets; and questions as to the state of the heroine’s affections are mingled with anxieties as to the state of her soul. The young curate always has a background of well-dressed and wealthy if not fashionable society-for Evangelical silliness is as snobbish as any other kind of silliness-and the Evangelical lady novelist, while she explains to you the type of the scapegoat on one page, is ambitious on another to represent the manners and conversations of aristocratic people. Her pictures of fashionable society are often curious studies, considered as efforts of the Evangelical imagination; but in one particular the novels of the White Neck-cloth School are meritoriously realistic-their favorite hero, the Evangelical young curate, is always rather an insipid personage.
The most recent novel of this species that we happen to have before us is “The Old Grey Church.” It is utterly tame and feeble; there is no one set of objects on which the writer seems to have a stronger grasp than on any other; and we should be entirely at a loss to conjecture among what phases of life her experience has been gained, but for certain vulgarisms of style which sufficiently indicate that she has had the advantage, though she has been unable to use it, of mingling chiefly with men and women whose manners and characters have not had all their bosses and angles rubbed down by refined conventionalism. It is less excusable in an Evangelical novelist than in any other, gratuitously to seek her subjects among titles and carriages. The real drama of Evangelicalism-and it has abundance of fine drama for any one who has genius enough to discern and reproduce it-lies among the middle and lower classes; and are not Evangelical opinions understood to give an especial interest in the weak things of the earth, rather than in the mighty? Why, then, cannot our Evangelical lady novelists show us the operation of their religious views among people (there really are many such in the world) who keep no carriage, “not so much as a brass-bound gig,” who even manage to eat their dinner without a silver fork, and in whose mouths the authoress’s questionable English would be strictly consistent? Why can we not have pictures of religious life among the industrial classes in England, as interesting as Mrs. Stowe’s pictures of religious life among the negroes? Instead of this pious ladies nauseate us with novels which remind us of what we sometimes see in a worldly woman recently “converted;”-she is as fond of a fine dinner-table as before, but she invites clergymen instead of beaux; she thinks as much of her dress as before, but she adopts a more sober choice of colors and patterns; her conversation is as trivial as before, but the triviality is flavored with gospel instead of gossip. In “The Old Grey Church” we have the same sort of Evangelical travesty of the fashionable novel, and of course the vicious, intriguing baronet is not wanting. It is worth while to give a sample of the style of conversation attributed to this high-born rake-a style that, in its profuse italics and palpable innuendoes, is worthy of Miss Squeers. In an evening visit to the ruins of the Colosseum, Eustace, the young clergyman, has been withdrawing the heroine, Miss Lushington, from the rest of the party, for the sake of a tête-à-tête. The baronet is jealous, and vents his pique in this way: